_Activity_
What is needed: start at the top of the data further below and copy each line, ending with the one that has "1.9521 -1.2891".

_Excerpt_
........
1.
A structure of composition C11H25ClHoIN3O2P at a distorted geometry. Source: the OMol25 dataset; level of theory: ωB97M-V/def2-TZVPD.

The geometry in XYZ format:
```
45
C11H25ClHoIN3O2P (ωB97M-V/def2-TZVPD)
C 0.6817 -1.4032 -2.6729
C 1.4189 -1.9028 -1.4633
H 0.0878 -2.1866 -3.1843
H 1.3897 -0.9676 -3.3996
H -0.0326 -0.5916 -2.4110
O 1.3388 -1.0808 -0.4234
I 1.2415 -4.2060 -0.1660
Ho 0.5148 0.6404 0.8742
P 2.8602 -3.0463 -1.8748
C 2.4495 -4.4764 -2.9644
C 3.7626 -2.1709 -3.2471
H 4.4234 -2.0416 -0.3953
H 5.1418 -3.4922 -1.1471
H 4.0474 -3.6833 0.2791
C 4.2425 -3.0994 -0.6454
H 4.0542 -1.1446 -2.9191
H 4.6836 -2.7134 -3.5408
H 3.3824 -4.9690 -3.2573
H 2.0114 -4.0952 -3.8994
H 3.1789 -2.0792 -4.1710
H 1.7659 -5.2253 -2.5444
C -1.4926 -2.2329 -0.2352
O -1.5328 -2.7634 -1.2504
Cl 1.6521 0.8685 3.0066
C -1.4613 5.0912 1.8875
N -2.2413 3.8773 2.1179
C -3.2939 4.0122 3.1089
C -1.8292 2.6959 1.6384
N -0.6675 2.5583 0.9697
N -2.5616 1.5790 1.8508
C -4.0062 1.5637 2.0023
C -1.9470 0.3022 1.4391
H -2.0092 5.9135 2.3701
H -1.3364 5.3087 0.8124
H -0.4611 5.0236 2.3515
H -4.2918 3.9793 2.6493
H -3.2262 3.2342 3.8804
H -3.1668 4.9803 3.5925
H -0.1586 3.4390 0.8671
H -4.3846 0.6546 1.5083
H -4.3075 1.5411 3.0622
H -4.4731 2.4172 1.5020
H -1.7495 0.3459 0.3243
H -1.0381 0.0598 2.1192
H -2.6603 -0.5143 1.5982
```

Calculated values
Frontier orbital gap (alpha / beta): 0.2775 / 0.2812 Ha
⟨S²⟩: 6.0042
Multiplicity: 5
LUMO level (alpha / beta): -6.8 / -6.8 eV
Charge: +2

***

2.
A structure of composition C11H25ClO4Si2. Source: the OMol25 dataset; level of theory: ωB97M-V/def2-TZVPD.

The geometry in XYZ format:
```
43
C11H25ClO4Si2 (ωB97M-V/def2-TZVPD)
Cl 4.6658 -5.1633 0.6349
Si 4.7242 -4.1129 -1.1272
O 4.0276 -2.6479 -0.9385
Si 2.3634 -2.4897 -0.8324
C 1.9521 -1.2891 0.5280
C 0.5034 -0.7578 0.4823
C -0.5216 -1.7463 -0.0142
C -1.1653 -1.5485 -1.2302
C -2.1160 -2.4542 -1.6957
C -2.4226 -3.5798 -0.9494
C -1.7892 -3.7913 0.2697
C -0.8515 -2.8765 0.7337
H 6.1439 -3.9408 -1.4606
H 4.0327 -4.8840 -2.1727
H 1.8078 -2.0546 -2.1298
H 1.8218 -3.8349 -0.5271
H 2.6385 -0.4406 0.4632
H 2.1450 -1.7850 1.4856
H 0.2278 -0.3946 1.4787
H 0.4993 0.1191 -0.1711
H -0.9356 -0.6709 -1.8280
H -2.6214 -2.2776 -2.6390
H -3.1547 -4.2935 -1.3078
H -2.0255 -4.6693 0.8596
H -0.3503 -3.0344 1.6836
C 0.9282 3.0214 0.6963
O 1.6357 2.3995 -0.3785
H 0.4388 2.2270 1.2554
H 1.6102 3.5539 1.3648
H 0.1719 3.7164 0.3289
H 2.0697 3.0866 -0.8904
C -1.7324 6.5150 1.2473
O -1.0262 5.9725 0.1374
H -2.1862 5.6774 1.7713
H -1.0644 7.0379 1.9365
H -2.5236 7.1982 0.9287
H -0.6174 6.6972 -0.3431
C -3.0498 1.4386 0.1239
O -2.5079 1.2215 1.4212
H -3.4503 2.4492 0.0990
H -2.2783 1.3462 -0.6454
H -3.8585 0.7353 -0.0917
H -2.1590 0.3246 1.4428
```

Calculated values
Frontier orbital gap: 0.3621 Ha
LUMO level: 0.6 eV

***

3.
A structure of composition C11H25DyN5O7 at a distorted geometry. Source: the OMol25 dataset; level of theory: ωB97M-V/def2-TZVPD.

The geometry in XYZ format:
```
49
C11H25DyN5O7 (ωB97M-V/def2-TZVPD)
O 1.4740 -0.8429 -4.8339
H 1.3092 -0.4704 -5.7116
Dy -0.0399 -0.1217 -0.1653
N 1.4480 -0.1110 1.5417
N 1.3201 -1.7150 -0.6161
N -1.2971 1.4229 0.7940
N -1.4627 0.1912 -1.6901
O 1.3286 0.6040 2.6273
O -1.2583 1.8752 2.1281
O -1.5007 -0.6822 -2.8114
O 0.8689 -2.5089 -1.5413
C 2.1137 -2.1051 0.3989
C 2.1921 -1.2437 1.5536
C -2.4712 1.4730 0.1150
C -2.5752 0.7448 -1.1514
C 3.0628 -1.4872 2.7346
H 2.4658 -1.5634 3.6675
H 3.7372 -0.6153 2.8621
H 3.6584 -2.4036 2.5904
C 2.8838 -3.3352 0.1179
H 3.3389 -3.2197 -0.8865
H 2.1802 -4.1827 0.0178
H 3.6483 -3.5158 0.8825
C -3.6014 2.3207 0.5934
C -3.8131 0.7450 -1.9698
H -3.2211 3.0636 1.3132
H -4.3859 1.7210 1.0935
H -4.0699 2.8452 -0.2612
H -3.8003 -0.1475 -2.6148
H -3.8076 1.6299 -2.6376
H -4.7272 0.7615 -1.3527
H -0.3555 1.6377 2.4981
H -0.6503 -1.2044 -2.8159
C 1.7681 0.2308 -3.9379
H 2.1973 -0.2570 -3.0592
H 0.8298 0.6860 -3.6016
H 2.4513 0.9876 -4.3558
O 1.1744 1.8602 -0.3456
H 0.4548 2.4063 0.0650
H 1.7109 1.7313 0.4782
........

_Result_
1.
A structure of composition C11H25ClHoIN3O2P at a distorted geometry. Source: the OMol25 dataset; level of theory: ωB97M-V/def2-TZVPD.

The geometry in XYZ format:
```
45
C11H25ClHoIN3O2P (ωB97M-V/def2-TZVPD)
C 0.6817 -1.4032 -2.6729
C 1.4189 -1.9028 -1.4633
H 0.0878 -2.1866 -3.1843
H 1.3897 -0.9676 -3.3996
H -0.0326 -0.5916 -2.4110
O 1.3388 -1.0808 -0.4234
I 1.2415 -4.2060 -0.1660
Ho 0.5148 0.6404 0.8742
P 2.8602 -3.0463 -1.8748
C 2.4495 -4.4764 -2.9644
C 3.7626 -2.1709 -3.2471
H 4.4234 -2.0416 -0.3953
H 5.1418 -3.4922 -1.1471
H 4.0474 -3.6833 0.2791
C 4.2425 -3.0994 -0.6454
H 4.0542 -1.1446 -2.9191
H 4.6836 -2.7134 -3.5408
H 3.3824 -4.9690 -3.2573
H 2.0114 -4.0952 -3.8994
H 3.1789 -2.0792 -4.1710
H 1.7659 -5.2253 -2.5444
C -1.4926 -2.2329 -0.2352
O -1.5328 -2.7634 -1.2504
Cl 1.6521 0.8685 3.0066
C -1.4613 5.0912 1.8875
N -2.2413 3.8773 2.1179
C -3.2939 4.0122 3.1089
C -1.8292 2.6959 1.6384
N -0.6675 2.5583 0.9697
N -2.5616 1.5790 1.8508
C -4.0062 1.5637 2.0023
C -1.9470 0.3022 1.4391
H -2.0092 5.9135 2.3701
H -1.3364 5.3087 0.8124
H -0.4611 5.0236 2.3515
H -4.2918 3.9793 2.6493
H -3.2262 3.2342 3.8804
H -3.1668 4.9803 3.5925
H -0.1586 3.4390 0.8671
H -4.3846 0.6546 1.5083
H -4.3075 1.5411 3.0622
H -4.4731 2.4172 1.5020
H -1.7495 0.3459 0.3243
H -1.0381 0.0598 2.1192
H -2.6603 -0.5143 1.5982
```

Calculated values
Frontier orbital gap (alpha / beta): 0.2775 / 0.2812 Ha
⟨S²⟩: 6.0042
Multiplicity: 5
LUMO level (alpha / beta): -6.8 / -6.8 eV
Charge: +2

***

2.
A structure of composition C11H25ClO4Si2. Source: the OMol25 dataset; level of theory: ωB97M-V/def2-TZVPD.

The geometry in XYZ format:
```
43
C11H25ClO4Si2 (ωB97M-V/def2-TZVPD)
Cl 4.6658 -5.1633 0.6349
Si 4.7242 -4.1129 -1.1272
O 4.0276 -2.6479 -0.9385
Si 2.3634 -2.4897 -0.8324
C 1.9521 -1.2891 0.5280